Assignment:
Next, copy the whole of the lines below word for word.

Given:
____________
Here is a relaxed HoThMgTi crystal from Alexandria via LeMat-Bulk. Energies are from PBE.

Cell and atoms, written as CIF:
```
data_HoThMgTi
_chemical_formula_sum 'Ho1 Th1 Mg1 Ti1'
_cell_length_a 5.275
_cell_length_b 5.275
_cell_length_c 5.275
_cell_angle_alpha 60.00
_cell_angle_beta 60.00
_cell_angle_gamma 60.00
_symmetry_space_group_name_H-M 'P 1'
_symmetry_Int_Tables_number 1
loop_
_symmetry_equiv_pos_as_xyz
'x,y,z'
loop_
_atom_site_label
_atom_site_fract_x
_atom_site_fract_y
_atom_site_fract_z
Th1 0.500 0.500 0.500
Ti1 0.750 0.750 0.750
Mg1 0.250 0.250 0.250
Ho1 0.000 0.000 0.000
```

Volume = 103.77 Å³ per cell
Formation energy = 0.594 eV/f.u.
Total moment = 1.76 μB/cell
D(E_F) = 1.321 states/eV/atom


Here is a relaxed VSi2B crystal from Alexandria via LeMat-Bulk. Energies are from PBE.

Cell and atoms, written as CIF:
```
data_VSi2B
_chemical_formula_sum 'V2 Si4 B2'
_cell_length_a 6.324
_cell_length_b 6.324
_cell_length_c 5.077
_cell_angle_alpha 51.48
_cell_angle_beta 51.48
_cell_angle_gamma 90.00
_symmetry_space_group_name_H-M 'P 1'
_symmetry_Int_Tables_number 1
loop_
_symmetry_equiv_pos_as_xyz
'x,y,z'
loop_
_atom_site_label
_atom_site_fract_x
_atom_site_fract_y
_atom_site_fract_z
Si1 0.199 0.625 0.250
Si2 0.375 0.449 0.750
Si3 0.875 0.801 0.750
Si4 0.551 0.125 0.250
V1 0.750 0.250 0.500
V2 0.000 0.000 0.000
B1 0.500 0.500 0.000
B2 0.250 0.750 0.500
```

Volume = 96.19 Å³ per cell
Total moment = 0.60 μB/cell
D(E_F) = 0.659 states/eV/atom
Formation energy from raw total energies = 224.1 meV per atom


Here is a relaxed ScTi2Ir crystal from Alexandria via LeMat-Bulk. Energies are from PBE.

Cell and atoms, written as CIF:
```
data_ScTi2Ir
_chemical_formula_sum 'Sc1 Ti2 Ir1'
_cell_length_a 4.533
_cell_length_b 4.533
_cell_length_c 4.533
_cell_angle_alpha 60.00
_cell_angle_beta 60.00
_cell_angle_gamma 60.00
_symmetry_space_group_name_H-M 'P 1'
_symmetry_Int_Tables_number 1
loop_
_symmetry_equiv_pos_as_xyz
'x,y,z'
loop_
_atom_site_label
_atom_site_fract_x
_atom_site_fract_y
_atom_site_fract_z
Ti1 0.750 0.750 0.750
Ti2 0.250 0.250 0.250
Sc1 0.000 0.000 0.000
Ir1 0.500 0.500 0.500
```

Volume = 65.86 Å³ per cell
Formation energy = -1.632 eV/f.u.
Total moment = 0.00 μB/cell
D(E_F) = 1.748 states/eV/atom


Here is a relaxed LaNdLu crystal from Alexandria via LeMat-Bulk. Energies are from PBE.

Cell and atoms, written as CIF:
```
data_LaNdLu
_chemical_formula_sum 'La1 Nd1 Lu1'
_cell_length_a 3.659
_cell_length_b 3.659
_cell_length_c 8.040
_cell_angle_alpha 103.15
_cell_angle_beta 103.15
_cell_angle_gamma 90.00
_symmetry_space_group_name_H-M 'P 1'
_symmetry_Int_Tables_number 1
loop_
_symmetry_equiv_pos_as_xyz
'x,y,z'
loop_
_atom_site_label
_atom_site_fract_x
_atom_site_fract_y
_atom_site_fract_z
Lu1 0.668 0.668 0.336
Nd1 0.330 0.330 0.659
La1 0.002 0.002 0.005
```

Volume = 101.92 Å³ per cell
Formation energy = 0.115 eV/f.u.
Total moment = 0.00 μB/cell
D(E_F) = 1.731 states/eV/atom


Here is a relaxed AcDy2Al2Ga2 crystal from Alexandria via LeMat-Bulk. Energies are from PBE.

Cell and atoms, written as CIF:
```
data_AcDy2Al2Ga2
_chemical_formula_sum 'Ac1 Dy2 Al2 Ga2'
_cell_length_a 4.436
_cell_length_b 4.436
_cell_length_c 10.745
_cell_angle_alpha 78.09
_cell_angle_beta 78.09
_cell_angle_gamma 60.00
_symmetry_space_group_name_H-M 'P 1'
_symmetry_Int_Tables_number 1
loop_
_symmetry_equiv_pos_as_xyz
'x,y,z'
loop_
_atom_site_label
_atom_site_fract_x
_atom_site_fract_y
_atom_site_fract_z
Al1 0.596 0.596 0.212
Al2 0.404 0.404 0.788
Ac1 0.000 0.000 0.000
Ga1 0.752 0.752 0.745
Ga2 0.248 0.248 0.255
Dy1 0.869 0.869 0.394
Dy2 0.131 0.131 0.606
```

Volume = 177.83 Å³ per cell
Formation energy = -2.690 eV/f.u.
Total moment = 0.00 μB/cell
D(E_F) = 0.722 states/eV/atom


Here is a relaxed ThScSi2O8 crystal from Alexandria via LeMat-Bulk. Energies are from PBE.

Cell and atoms, written as CIF:
```
data_ThScSi2O8
_chemical_formula_sum 'Th1 Sc1 Si2 O8'
_cell_length_a 5.818
_cell_length_b 5.818
_cell_length_c 5.818
_cell_angle_alpha 106.78
____________

Reply:
Here is a relaxed HoThMgTi crystal from Alexandria via LeMat-Bulk. Energies are from PBE.

Cell and atoms, written as CIF:
```
data_HoThMgTi
_chemical_formula_sum 'Ho1 Th1 Mg1 Ti1'
_cell_length_a 5.275
_cell_length_b 5.275
_cell_length_c 5.275
_cell_angle_alpha 60.00
_cell_angle_beta 60.00
_cell_angle_gamma 60.00
_symmetry_space_group_name_H-M 'P 1'
_symmetry_Int_Tables_number 1
loop_
_symmetry_equiv_pos_as_xyz
'x,y,z'
loop_
_atom_site_label
_atom_site_fract_x
_atom_site_fract_y
_atom_site_fract_z
Th1 0.500 0.500 0.500
Ti1 0.750 0.750 0.750
Mg1 0.250 0.250 0.250
Ho1 0.000 0.000 0.000
```

Volume = 103.77 Å³ per cell
Formation energy = 0.594 eV/f.u.
Total moment = 1.76 μB/cell
D(E_F) = 1.321 states/eV/atom


Here is a relaxed VSi2B crystal from Alexandria via LeMat-Bulk. Energies are from PBE.

Cell and atoms, written as CIF:
```
data_VSi2B
_chemical_formula_sum 'V2 Si4 B2'
_cell_length_a 6.324
_cell_length_b 6.324
_cell_length_c 5.077
_cell_angle_alpha 51.48
_cell_angle_beta 51.48
_cell_angle_gamma 90.00
_symmetry_space_group_name_H-M 'P 1'
_symmetry_Int_Tables_number 1
loop_
_symmetry_equiv_pos_as_xyz
'x,y,z'
loop_
_atom_site_label
_atom_site_fract_x
_atom_site_fract_y
_atom_site_fract_z
Si1 0.199 0.625 0.250
Si2 0.375 0.449 0.750
Si3 0.875 0.801 0.750
Si4 0.551 0.125 0.250
V1 0.750 0.250 0.500
V2 0.000 0.000 0.000
B1 0.500 0.500 0.000
B2 0.250 0.750 0.500
```

Volume = 96.19 Å³ per cell
Total moment = 0.60 μB/cell
D(E_F) = 0.659 states/eV/atom
Formation energy from raw total energies = 224.1 meV per atom


Here is a relaxed ScTi2Ir crystal from Alexandria via LeMat-Bulk. Energies are from PBE.

Cell and atoms, written as CIF:
```
data_ScTi2Ir
_chemical_formula_sum 'Sc1 Ti2 Ir1'
_cell_length_a 4.533
_cell_length_b 4.533
_cell_length_c 4.533
_cell_angle_alpha 60.00
_cell_angle_beta 60.00
_cell_angle_gamma 60.00
_symmetry_space_group_name_H-M 'P 1'
_symmetry_Int_Tables_number 1
loop_
_symmetry_equiv_pos_as_xyz
'x,y,z'
loop_
_atom_site_label
_atom_site_fract_x
_atom_site_fract_y
_atom_site_fract_z
Ti1 0.750 0.750 0.750
Ti2 0.250 0.250 0.250
Sc1 0.000 0.000 0.000
Ir1 0.500 0.500 0.500
```

Volume = 65.86 Å³ per cell
Formation energy = -1.632 eV/f.u.
Total moment = 0.00 μB/cell
D(E_F) = 1.748 states/eV/atom


Here is a relaxed LaNdLu crystal from Alexandria via LeMat-Bulk. Energies are from PBE.

Cell and atoms, written as CIF:
```
data_LaNdLu
_chemical_formula_sum 'La1 Nd1 Lu1'
_cell_length_a 3.659
_cell_length_b 3.659
_cell_length_c 8.040
_cell_angle_alpha 103.15
_cell_angle_beta 103.15
_cell_angle_gamma 90.00
_symmetry_space_group_name_H-M 'P 1'
_symmetry_Int_Tables_number 1
loop_
_symmetry_equiv_pos_as_xyz
'x,y,z'
loop_
_atom_site_label
_atom_site_fract_x
_atom_site_fract_y
_atom_site_fract_z
Lu1 0.668 0.668 0.336
Nd1 0.330 0.330 0.659
La1 0.002 0.002 0.005
```

Volume = 101.92 Å³ per cell
Formation energy = 0.115 eV/f.u.
Total moment = 0.00 μB/cell
D(E_F) = 1.731 states/eV/atom


Here is a relaxed AcDy2Al2Ga2 crystal from Alexandria via LeMat-Bulk. Energies are from PBE.

Cell and atoms, written as CIF:
```
data_AcDy2Al2Ga2
_chemical_formula_sum 'Ac1 Dy2 Al2 Ga2'
_cell_length_a 4.436
_cell_length_b 4.436
_cell_length_c 10.745
_cell_angle_alpha 78.09
_cell_angle_beta 78.09
_cell_angle_gamma 60.00
_symmetry_space_group_name_H-M 'P 1'
_symmetry_Int_Tables_number 1
loop_
_symmetry_equiv_pos_as_xyz
'x,y,z'
loop_
_atom_site_label
_atom_site_fract_x
_atom_site_fract_y
_atom_site_fract_z
Al1 0.596 0.596 0.212
Al2 0.404 0.404 0.788
Ac1 0.000 0.000 0.000
Ga1 0.752 0.752 0.745
Ga2 0.248 0.248 0.255
Dy1 0.869 0.869 0.394
Dy2 0.131 0.131 0.606
```

Volume = 177.83 Å³ per cell
Formation energy = -2.690 eV/f.u.
Total moment = 0.00 μB/cell
D(E_F) = 0.722 states/eV/atom


Here is a relaxed ThScSi2O8 crystal from Alexandria via LeMat-Bulk. Energies are from PBE.

Cell and atoms, written as CIF:
```
data_ThScSi2O8
_chemical_formula_sum 'Th1 Sc1 Si2 O8'
_cell_length_a 5.818
_cell_length_b 5.818
_cell_length_c 5.818
_cell_angle_alpha 106.78